Gren pauses in his butchering, gazing up at me. “You wished to speak? Speak.”

I crouch next to the meat, standing across from him, and try to think of the best way to approach this. “I…my mate…she is one of the newcomers.”

He grunts.

“She was made in a flying cave. Like you.”

“In a ship,” Gren corrects. “Or a lab. But yes. In a way, she was created like me.” He lifts one leg of the creature and continues to carefully slice the hide away.

“My R’slind is very distressed over this,” I admit. “And I worry I am failing her. We have been mating for two hands of days and we yet resonate. Is there something perhaps that I am unaware of? Something I should do?”

“And you are asking me?” He pauses, frowning. “I touched no female before my Willa. I know nothing of what they need in the furs…nor do I care to guess.”

“But you required assistance from the healer with your resonance, yes?” I eye Shade, who continues to chew on a string of raw meat, watching me. “Was there a way you could tell that you needed help? Could you tell there was something wrong?”

“There was nothing wrong with Willa. Or my son. The fault lay with me.” He pauses and then rips another rib out of the carcass, holding it out to Shade. The boy laughs with delight and holds one in each fist, making Gren smile. “Go and show your mother. Tell her I am speaking with R’jaal and will be in soon.”

____________
This record from the Open Molecules 2025 dataset describes a structure of composition C34H34BN8PV in a non-equilibrium geometry. The level of theory is ωB97M-V/def2-TZVPD.

Atoms and positions in Å:
V 0.613 0.332 -0.461
C -1.436 -1.757 2.671
C -1.852 -1.281 1.312
C -3.167 -1.304 0.832
C -3.090 -0.938 -0.488
N -1.803 -0.712 -0.799
N -1.020 -0.900 0.320
B -1.206 -0.913 -2.264
N 0.073 -1.818 -2.107
C 0.522 -2.886 -2.784
C 1.815 -3.159 -2.389
C 2.138 -2.183 -1.443
C 3.418 -1.964 -0.697
N 1.080 -1.377 -1.284
N -0.702 0.463 -2.833
C -0.944 0.985 -4.053
C 0.128 1.754 -4.426
C 1.052 1.664 -3.387
C 2.434 2.223 -3.401
N 0.540 0.919 -2.395
N -2.259 -1.577 -3.083
C -2.682 -2.867 -2.939
C -3.867 -2.982 -3.598
C -4.127 -1.692 -4.123
C -5.310 -1.249 -4.936
N -3.175 -0.840 -3.802
H -2.177 -1.460 3.415
H -0.469 -1.407 3.012
H -1.393 -2.849 2.658
H -4.052 -1.588 1.386
H -3.856 -0.877 -1.252
H -0.098 -3.379 -3.521
H 2.445 -3.963 -2.742
H 4.256 -1.902 -1.393
H 3.621 -2.792 -0.015
H 3.390 -1.045 -0.117
H -1.863 0.734 -4.564
H 0.254 2.288 -5.358
H 2.466 3.246 -3.024
H 2.779 2.246 -4.432
H 3.121 1.603 -2.833
H -2.130 -3.595 -2.355
H -4.473 -3.871 -3.706
H -5.526 -1.966 -5.726
H -5.123 -0.278 -5.388
H -6.202 -1.170 -4.315
C 4.302 -1.160 3.747
C 3.362 -1.976 3.128
C 2.212 -1.418 2.592
C 2.013 -0.034 2.687
C 2.979 0.794 3.276
C 4.113 0.221 3.819
P 0.532 0.742 2.053
C -0.650 1.157 3.283
C -0.397 0.899 4.632
C -1.338 1.277 5.574
C -2.527 1.881 5.170
C -2.790 2.114 3.822
C -1.856 1.746 2.869
C 1.032 2.196 1.176
C 0.852 3.532 1.619
C 1.687 4.474 1.080
C 2.682 4.097 0.155
C 2.795 2.797 -0.311
C 1.888 1.832 0.125
H 5.197 -1.599 4.174
H 3.528 -3.047 3.061
H 1.500 -2.047 2.077
H 2.833 1.868 3.323
H 4.856 0.851 4.295
H 0.529 0.428 4.941
H -1.147 1.104 6.626
H -3.260 2.169 5.916
H -3.722 2.578 3.520
H -2.059 1.913 1.818
H 0.170 3.771 2.425
H 1.621 5.503 1.412
H 3.360 4.855 -0.226
H 3.563 2.564 -1.028

Spin multiplicity: 4
⟨S²⟩: 3.7748
Electronic energy (Ha): -3063.7978
HOMO (alpha / beta) (eV): -13.638 / -13.639
Total charge: +2
Strongest force on any atom (eV Å⁻¹): 1.40
LUMO (alpha / beta) (eV): -6.70 / -9.15
Orbital gap (alpha / beta) (eV): 6.94 / 4.49

Mulliken population analysis, charges in e, atoms 1 to 4: V -0.04; C -1.09; C 0.85; C -1.72


This record from the Open Molecules 2025 dataset describes a structure of composition C34H34F2N10ReS in a non-equilibrium geometry. The level of theory is ωB97M-V/def2-TZVPD.

Atoms and positions in Å:
Re 0.253 -0.043 0.420
C 5.633 1.971 -2.879
C 4.471 2.045 -1.951
C 4.637 2.231 -0.580
C 3.556 2.230 0.272
C 2.257 2.013 -0.200
N 1.164 1.892 0.674
C 0.910 2.923 1.511
C 1.629 4.146 1.383
C 1.549 5.154 2.303
C 0.740 5.016 3.435
C 0.699 6.057 4.494
C -0.089 3.900 3.497
C -0.083 2.891 2.543
N -1.111 1.932 2.571
C -2.144 1.878 3.447
C -3.040 0.939 2.994
C -2.484 0.455 1.814
N -1.328 1.061 1.569
C 2.088 1.849 -1.590
C 3.178 1.887 -2.443
N 0.792 1.667 -2.113
C 0.285 2.169 -3.253
C -1.036 1.779 -3.328
C -1.256 1.027 -2.177
N -0.137 0.960 -1.459
____________
So much for the data records =

With a happy grin, Shade gets to his feet and trots over to his father, lifting his messy face for a kiss. Gren leans in and affectionately gives his son a kiss on the nose and then sends him on his way. He watches him retreat, a look of pride on his strange face, and I am filled with envy that he and his son share such a bond. A son to hunt with. To give snacks to. To give affection to. I picture one with R’slind’s fine yellow mane and her sharp observance, and think I would like that very much.

Gren turns to me again. “When I was a gladiator, there were many things done to me. I was given daily shots of medicines to amplify my performance. Medicines to make my cock deaden so I would be controllable. Medicines to bring certain things to the forefront. I suspect those medicines have much more to do with why I needed the healer than the fact that I am a splice. Or it could be both. But your mate, your Rosalind, does not have the same situation. She is all human. If the healer sees no problem with her health, I imagine you do not have to resort to the same situation we did.”

Most of his words make no sense to me—performance medicines and shots and splices—but I fix on the positive part. That R’slind will not require aid from outside. The relief is overwhelming. “I just worry that I am failing her somehow. That I am not meeting her needs.”

“Do you love her? Take care of her? Make her happy?” Gren fixes his strange gaze on me. “That is all she needs. And for anything else…” He shrugs. “There is always the healer. But I must warn you, she has to watch and touch.”

I picture A’tar’s mate, V’ronca, watching me claim R’slind. I picture her touching my cock with her hand and my sac feels as if it is retreating inside my body. “I do not want anyone’s hand on my cock but R’slind.”

Gren barks out a harsh laugh. “Not on you. On your mate.”

**Data records from another source follow**
********
(1)
144
Properties=species:S:1:pos:R:3 method="wB97M-V/def2-TZVPD" fmax_ev_per_a=7.67 e_tot_ev=-126082.924 de_lowest_kcal_mol=133.1 orbital_gap_ev=8.45 smiles="CCP(CC)[C@@]1(S(=O)(=O)C(F)(F)C(F)(F)F)C(=O)N[C@](CC(=O)Cl)(B(C)O)[C@H]1CCCCO.CN(C)C=O.CN(C)C=O.CN(C)C=O.CN(C)C=O.CN(C)C=O.CN(C)C=O.CN(C)C=O"
Cl -3.1331 -2.8055 -1.6794
S 2.5587 3.0131 -1.3413
P 2.3114 0.0678 -0.3005
F 1.8427 4.5199 -4.0013
F 4.5303 4.3937 -2.4232
F 2.6730 2.6819 -5.0203
F 3.9215 4.5434 -4.8576
F 4.6007 2.2249 -3.0241
O -0.7348 5.6618 2.1046
O 2.1916 -0.2811 5.1135
O 1.0373 -2.6525 -7.0504
O 1.6927 4.2334 -1.0722
O -6.7698 -2.5664 3.6453
O 2.4344 -4.8317 7.9387
O 3.4576 2.8935 -0.1207
O -1.8261 1.4205 -4.7717
O -5.6823 -4.7075 -1.2943
O -3.6347 2.1908 3.7558
O -3.2886 -0.3082 -0.8654
O 8.0340 1.9392 -8.5231
O 2.5633 0.1578 -3.4877
N 4.1815 -5.2310 6.5091
N 0.2919 0.5741 -3.4480
N 2.9882 -1.4650 -7.2429
N -5.0150 -3.3848 2.4190
N -5.7603 2.9061 4.2196
N 1.0097 -0.5924 7.0516
N 6.9596 3.5319 -7.2748
N -7.7257 -3.7287 -1.6438
C -2.5142 -1.0837 -1.4352
C 1.8755 -1.9000 -6.5894
C -6.6393 3.6465 5.1017
C -0.5211 3.0859 0.8842
C -4.7341 -4.4418 3.3704
C 5.1983 0.1961 0.3160
C -6.3681 -3.7952 -1.7198
C -0.7402 1.7413 0.0442
C 7.3536 2.2613 -7.5682
C -1.0408 -0.7607 -1.9333
C -6.0425 -2.5282 2.6694
C 6.1460 3.8362 -6.1142
C 3.6957 3.2995 -2.7930
C 1.6095 0.6710 -2.8623
C 4.1024 -0.3519 -0.7163
C 0.0031 1.7070 -1.3672
C -0.0770 -0.1613 7.9071
C -1.2265 4.5842 2.9575
C 1.3370 -0.9409 2.1410
C -6.3210 2.2614 3.0473
C 7.3667 4.6131 -8.1507
C -8.4479 -4.8155 -1.0104
C -1.6357 3.3516 1.9944
C 3.3981 -6.1105 5.6629
C -4.4245 2.7964 4.4562
C 5.5678 -4.9818 6.1700
C -4.1934 -3.2720 1.2298
C 3.9390 -0.5669 -6.6207
C 3.5908 -4.6651 7.5977
C -0.8033 0.7548 -2.4029
C 1.8197 -1.7247 7.4604
C 1.2941 0.0311 5.8771
C 1.5914 1.4148 -1.4157
C 3.2277 -1.9142 -8.6007
C -3.2264 2.3085 -2.7488
C 2.9816 3.7331 -4.1573
C -8.4710 -2.6062 -2.1758
C 2.0355 0.3984 1.5325
B -1.9645 1.4855 -3.3311
H -1.8677 1.6975 -0.1861
H -3.8884 -5.0425 3.0348
H 1.3239 1.2489 1.7723
H 1.7927 -1.4981 -5.5661
H -7.8013 -1.8687 -2.6203
H -0.5965 0.6957 7.4760
H -2.6278 3.6727 1.5089
H -5.9206 -2.9206 -2.2189
H -3.4000 2.2037 -1.6326
H 4.0033 0.3498 -7.2133
H 3.2977 -3.0045 -8.6109
H -0.3303 -1.0106 -1.0659
H -8.2357 -5.7456 -1.5429
H 5.2165 4.2969 -6.4456
H 6.0300 -4.3055 6.8904
H -6.1262 1.1876 3.1009
H 2.3886 -1.6119 -9.2320
H 4.4394 -0.0509 -1.7579
H -6.1682 -1.7649 1.8839
H -5.8372 2.6604 2.1525
H 3.6306 -0.3150 -5.6048
H 0.1334 -0.1641 -4.1415
H 6.9888 4.4208 -9.1576
H 6.1109 -5.9302 6.1699
H 1.7549 -2.5037 6.6983
H 0.2416 5.5930 2.0231
H -3.1590 3.4117 -3.0763
H -4.5070 -3.9983 4.3430
H -7.1148 4.4524 4.5372
H 2.5401 -5.5598 5.2700
H 6.9776 5.5651 -7.7885
H 0.5310 3.1932 1.3290
H 5.9162 2.9314 -5.5495
H 5.4911 1.2777 0.0658
H -4.5185 -2.4365 0.6099
H 4.1769 -1.5012 -0.6840
H 0.6198 0.8761 5.6624
H -5.6176 -5.0763 3.4732
H 4.9508 0.0379 1.4112
H -4.2711 -4.1963 0.6540
H -0.7998 -1.5287 -2.7531
H -2.1167 5.0013 3.5284
********
**End of the data records**

I exhale in relief. “Good, because I do not think I could stay hard otherwise.” When the other male snorts with amusement, I eye him. “But you managed?”

He nods. “It was what it took to answer resonance, and I would do anything for Willa. Anything at all.” His gaze focuses on his hut, as if he can see through its walls to his mate inside. “And I will do it again. And again, if needed. Because while having the healer there is awkward, the results are…excellent. And I would not trade Shade for anything in the universe.”

The pride in his voice is evident.

If it takes the healer being in the furs with us, I will endure it. I suppose it is no different than me enjoying R’slind’s cunt with my tongue while Kin’far watched me taste her. R’slind was fine with it. Her sweet cries were just as intense then as they are when we are alone.

If we must use the healer, as long as it gets results, I do not care.

Between two parts of the entry: data records.
- - -
(1)
The following is a DFT calculation (ωB97M-V/def2-TZVPD) of 7 unconnected molecules or ions with the total composition C18H42ClN6O10.

Geometry as ORCA input:
```
! wB97M-V def2-TZVPD RIJCOSX def2/J DEFGRID3
* xyz -1 1
Cl -0.406 0.150 1.371
O 0.333 0.548 0.132
O -0.599 -1.287 1.531
O 0.233 0.830 2.508
O -1.732 0.802 1.176
C -5.367 0.870 -2.357
O -5.332 -0.301 -2.010
N -5.199 1.959 -1.628
C -5.009 3.293 -2.175
C -5.046 1.829 -0.167
H -5.225 1.210 -3.395
H -5.380 3.456 -3.187
H -3.931 3.445 -2.243
H -5.220 4.056 -1.427
H -5.402 2.737 0.322
H -5.343 0.891 0.303
H -3.969 1.807 -0.004
C 1.937 4.054 5.607
O 2.663 4.954 5.887
N 1.044 3.489 6.380
C 0.839 4.068 7.736
C 0.449 2.152 6.052
H 2.030 3.542 4.637
H -0.086 3.875 8.278
H 0.875 5.158 7.721
H 1.543 3.507 8.351
H 0.624 2.051 4.981
H 0.924 1.403 6.685
H -0.616 2.019 6.246
C -0.855 0.311 -5.233
O 0.174 0.241 -5.946
N -0.847 0.957 -4.041
C -2.038 1.178 -3.187
C 0.290 1.614 -3.563
H -1.825 -0.149 -5.478
H -1.995 0.660 -2.229
H -2.973 0.829 -3.625
H -2.021 2.229 -2.899
H 0.607 1.153 -2.627
H 1.126 1.724 -4.254
H -0.037 2.650 -3.478
C -2.592 -2.146 -1.341
O -3.816 -2.418 -1.337
N -1.685 -2.916 -1.945
C -2.012 -4.157 -2.659
C -0.297 -2.425 -2.015
H -2.123 -1.238 -0.931
H -1.117 -4.779 -2.631
H -2.200 -3.709 -3.635
H -2.818 -4.655 -2.121
H -0.293 -1.817 -2.919
H -0.004 -1.643 -1.314
H 0.345 -3.298 -1.895
C 4.359 1.146 -2.244
O 4.571 0.472 -3.299
N 3.986 0.637 -1.076
C 3.587 1.618 -0.111
C 3.711 -0.784 -0.834
H 4.518 2.223 -2.081
H 2.507 1.527 -0.224
H 3.790 2.671 -0.303
H 3.856 1.268 0.886
H 2.708 -0.739 -0.409
H 3.628 -1.435 -1.705
H 4.295 -1.267 -0.051
C 2.568 -3.856 -0.126
O 3.224 -4.272 -1.149
N 2.805 -4.339 1.110
C 2.155 -3.667 2.263
C 3.664 -5.438 1.351
H 1.885 -2.995 -0.073
H 2.772 -2.842 2.620
H 1.996 -4.280 3.150
H 1.158 -3.289 2.033
H 4.568 -5.060 1.828
H 3.077 -6.100 1.987
H 3.983 -5.962 0.450
*
```

The molar mass is 538.0 g/mol. The value obtained for the total energy is -2251.8949 hartree. Its LUMO energy is 2.38 eV. For the HOMO-LUMO gap, the calculation gives 8.677 eV. The value obtained for the energy above the lowest of the compared OMol25 structures with the same formula, charge and spin is 157.2 kcal/mol.

---

(2)
The following is a DFT calculation (ωB97M-V/def2-TZVPD) of a molecular structure, C26H50InNP3Se.

Geometry as ORCA input:
```
! wB97M-V def2-TZVPD RIJCOSX def2/J DEFGRID3
* xyz 3 1
In 1.109 1.180 0.122
P -0.774 0.778 2.201
P -0.558 2.379 -1.322
P 2.424 2.509 1.756
H 1.815 -2.110 -0.823
C 1.976 -2.132 0.256
C 0.929 -2.300 1.061
H -0.085 -2.374 0.643
C -1.988 -0.574 2.000
C -1.956 2.153 2.489
C -0.183 0.440 3.902
C 0.119 2.807 -2.962
C -2.180 1.662 -1.721
C -1.006 3.994 -0.593
C 3.348 1.568 3.014
C 1.475 3.755 2.695
C 3.686 3.439 0.825
H 2.990 -1.956 0.625
H 0.988 -2.202 2.143
H -1.655 -1.441 2.597
H -2.079 -0.894 0.955
H -2.961 -0.214 2.391
H -2.571 2.320 1.591
H -1.453 3.086 2.786
H -2.598 1.812 3.314
H 0.192 -0.589 3.957
H -1.058 0.543 4.556
H 0.597 1.142 4.233
- - -

All that matters is R’slind and her happiness. Gren is right. My mate and our future kit mean everything. “My thanks. You have given me much to think about.”